**Activity:**
Transcribe the whole of the listing underneath exactly, please.
**Excerpt:**
┌──
The following is a quantum chemistry calculation of the molecule C4H6O2, from the OMol25 dataset.

Each line ends with the Löwdin charge.
Atoms and positions in Å:
O  1.564  -2.031  0.110  0.06
C  1.149  -0.926  0.355  -0.29
C  0.483  -0.038  -0.679  -0.16
C  -2.039  -0.436  0.837  0.07
O  -1.681  0.728  0.401  -0.17
C  -0.374  1.094  -0.146  -0.17
H  1.283  -0.474  1.365  0.13
H  1.308  0.446  -1.224  0.14
H  -0.043  -0.664  -1.408  0.13
H  -1.173  -1.139  0.678  0.00
H  0.137  1.641  0.654  0.13
H  -0.614  1.800  -0.943  0.13

Atomic forces in eV per Å
-0.19 0.50 0.15
0.11 -0.27 -0.12
-0.04 -0.07 -0.04
0.38 0.19 -0.22
-0.26 -0.21 0.17
0.22 0.02 -0.05
-0.01 -0.08 -0.12
-0.10 -0.05 0.07
0.06 0.09 0.12
-0.13 0.06 0.03
-0.08 -0.08 -0.12
0.05 -0.10 0.12

Multiplicity: 1
Highest occupied orbital energy in eV: -8.78
Maximum force in eV/A: 0.56
Charge: 0
DFT total energy in Ha: -306.35359



The following is a quantum chemistry calculation of the molecule C16H15N3O2S at a distorted geometry, from the OMol25 dataset.

Each line ends with the Löwdin charge.
Atoms and positions in Å:
C  0.466  -6.296  -0.860  -0.08
O  -0.644  -5.586  -0.361  -0.07
C  -0.446  -4.379  0.215  -0.27
C  -1.595  -3.731  0.685  0.01
C  -1.498  -2.501  1.286  0.00
C  -0.259  -1.864  1.434  -0.18
C  -0.243  -0.546  2.092  -0.42
O  -1.210  -0.092  2.660  0.10
C  1.048  0.257  2.036  -0.36
S  1.575  0.550  0.316  1.01
C  0.735  2.039  0.018  -0.61
N  0.161  2.769  0.933  0.12
C  -0.360  3.839  0.254  -0.21
C  -1.085  4.949  0.661  0.00
C  -1.445  5.840  -0.337  -0.08
C  -1.085  5.607  -1.663  -0.16
N  -0.394  4.557  -2.082  0.13
C  -0.056  3.711  -1.126  -0.25
N  0.649  2.544  -1.249  -0.06
C  1.186  1.983  -2.455  -0.03
C  0.880  -2.517  0.968  -0.05
C  0.792  -3.758  0.368  -0.01
H  1.179  -6.536  -0.066  0.10
H  0.063  -7.219  -1.273  0.09
H  0.976  -5.738  -1.652  0.10
H  -2.546  -4.224  0.563  0.12
H  -2.379  -1.994  1.652  0.12
H  0.886  1.237  2.484  0.08
H  1.864  -0.269  2.531  0.09
H  -1.350  5.101  1.695  0.11
H  -2.010  6.726  -0.093  0.10
H  -1.367  6.304  -2.440  0.10
H  0.818  0.965  -2.594  0.09
H  2.277  1.960  -2.413  0.09
H  0.863  2.613  -3.281  0.09
H  1.856  -2.068  1.072  0.09
H  1.696  -4.234  0.023  0.10

Atomic forces in eV per Å
0.21 -0.12 -0.08
-0.24 0.17 0.11
-0.04 0.27 0.15
0.10 -0.21 -0.12
0.21 0.08 -0.01
-0.21 -0.55 -0.15
0.17 0.38 0.17
0.05 -0.06 -0.04
-0.04 0.28 -0.21
0.27 -0.29 0.00
-0.14 0.24 0.37
0.09 -0.28 0.29
0.05 0.11 -0.75
0.12 -0.17 -0.18
-0.04 0.05 0.08
-0.12 0.20 -0.04
0.34 -0.51 -0.18
-0.54 0.82 0.51
0.00 -0.14 0.32
0.18 -0.21 -0.29
-0.38 0.24 0.20
0.06 -0.44 -0.20
-0.02 0.02 -0.03
0.08 0.06 0.02
-0.02 -0.01 0.04
-0.12 -0.05 -0.01
-0.07 0.03 0.03
0.02 -0.17 0.08
0.02 0.03 -0.02
-0.03 0.01 0.11
-0.04 0.08 -0.01
-0.08 0.13 0.02
-0.01 0.06 -0.06
-0.04 0.03 -0.08
0.04 -0.06 0.00
0.11 0.02 0.01
0.05 -0.07 -0.04

Multiplicity: 1
Structure (SMILES): COc1ccc(C(=O)CSc2nc3cccnc3n2C)cc1
Highest occupied orbital energy in eV: -8.11
Maximum force in eV/A: 1.11
Charge: 0
DFT total energy in Ha: -1331.65293



The following is a quantum chemistry calculation of a cluster of 2 separate species, C6H12N5 in total at a distorted geometry, from the OMol25 dataset.

Each line ends with the Löwdin charge.
Atoms and positions in Å:
C  -1.262  1.820  -0.496  -0.06
C  -1.043  2.401  -1.736  -0.19
C  -0.519  0.639  -0.713  -0.02
C  0.745  -0.420  -2.525  -0.03
C  1.025  0.140  2.845  -0.01
C  0.200  -0.811  0.816  -0.14
N  -0.260  1.727  -2.521  0.09
N  -0.532  -2.785  -0.350  0.10
N  -0.311  -2.117  0.679  -0.05
N  0.037  0.586  -1.920  -0.22
N  -0.159  -0.153  2.070  0.04
H  -2.023  2.111  0.237  0.10
H  -1.480  3.361  -2.204  0.15
H  0.079  -1.312  -2.571  0.10
H  0.986  -0.012  -3.518  0.12
H  1.571  -0.818  -2.045  0.06
H  1.733  -0.688  2.958  0.12
H  1.744  0.792  2.386  0.11
H  0.782  0.567  3.856  0.13
H  1.201  -0.924  0.615  0.10
H  -0.989  -3.796  -0.231  0.17
H  -0.870  0.557  1.837  0.18
H  -0.655  -0.866  2.529  0.15
└──
**Solution:**
The following is a quantum chemistry calculation of the molecule C4H6O2, from the OMol25 dataset.

Each line ends with the Löwdin charge.
Atoms and positions in Å:
O  1.564  -2.031  0.110  0.06
C  1.149  -0.926  0.355  -0.29
C  0.483  -0.038  -0.679  -0.16
C  -2.039  -0.436  0.837  0.07
O  -1.681  0.728  0.401  -0.17
C  -0.374  1.094  -0.146  -0.17
H  1.283  -0.474  1.365  0.13
H  1.308  0.446  -1.224  0.14
H  -0.043  -0.664  -1.408  0.13
H  -1.173  -1.139  0.678  0.00
H  0.137  1.641  0.654  0.13
H  -0.614  1.800  -0.943  0.13

Atomic forces in eV per Å
-0.19 0.50 0.15
0.11 -0.27 -0.12
-0.04 -0.07 -0.04
0.38 0.19 -0.22
-0.26 -0.21 0.17
0.22 0.02 -0.05
-0.01 -0.08 -0.12
-0.10 -0.05 0.07
0.06 0.09 0.12
-0.13 0.06 0.03
-0.08 -0.08 -0.12
0.05 -0.10 0.12

Multiplicity: 1
Highest occupied orbital energy in eV: -8.78
Maximum force in eV/A: 0.56
Charge: 0
DFT total energy in Ha: -306.35359



The following is a quantum chemistry calculation of the molecule C16H15N3O2S at a distorted geometry, from the OMol25 dataset.

Each line ends with the Löwdin charge.
Atoms and positions in Å:
C  0.466  -6.296  -0.860  -0.08
O  -0.644  -5.586  -0.361  -0.07
C  -0.446  -4.379  0.215  -0.27
C  -1.595  -3.731  0.685  0.01
C  -1.498  -2.501  1.286  0.00
C  -0.259  -1.864  1.434  -0.18
C  -0.243  -0.546  2.092  -0.42
O  -1.210  -0.092  2.660  0.10
C  1.048  0.257  2.036  -0.36
S  1.575  0.550  0.316  1.01
C  0.735  2.039  0.018  -0.61
N  0.161  2.769  0.933  0.12
C  -0.360  3.839  0.254  -0.21
C  -1.085  4.949  0.661  0.00
C  -1.445  5.840  -0.337  -0.08
C  -1.085  5.607  -1.663  -0.16
N  -0.394  4.557  -2.082  0.13
C  -0.056  3.711  -1.126  -0.25
N  0.649  2.544  -1.249  -0.06
C  1.186  1.983  -2.455  -0.03
C  0.880  -2.517  0.968  -0.05
C  0.792  -3.758  0.368  -0.01
H  1.179  -6.536  -0.066  0.10
H  0.063  -7.219  -1.273  0.09
H  0.976  -5.738  -1.652  0.10
H  -2.546  -4.224  0.563  0.12
H  -2.379  -1.994  1.652  0.12
H  0.886  1.237  2.484  0.08
H  1.864  -0.269  2.531  0.09
H  -1.350  5.101  1.695  0.11
H  -2.010  6.726  -0.093  0.10
H  -1.367  6.304  -2.440  0.10
H  0.818  0.965  -2.594  0.09
H  2.277  1.960  -2.413  0.09
H  0.863  2.613  -3.281  0.09
H  1.856  -2.068  1.072  0.09
H  1.696  -4.234  0.023  0.10

Atomic forces in eV per Å
0.21 -0.12 -0.08
-0.24 0.17 0.11
-0.04 0.27 0.15
0.10 -0.21 -0.12
0.21 0.08 -0.01
-0.21 -0.55 -0.15
0.17 0.38 0.17
0.05 -0.06 -0.04
-0.04 0.28 -0.21
0.27 -0.29 0.00
-0.14 0.24 0.37
0.09 -0.28 0.29
0.05 0.11 -0.75
0.12 -0.17 -0.18
-0.04 0.05 0.08
-0.12 0.20 -0.04
0.34 -0.51 -0.18
-0.54 0.82 0.51
0.00 -0.14 0.32
0.18 -0.21 -0.29
-0.38 0.24 0.20
0.06 -0.44 -0.20
-0.02 0.02 -0.03
0.08 0.06 0.02
-0.02 -0.01 0.04
-0.12 -0.05 -0.01
-0.07 0.03 0.03
0.02 -0.17 0.08
0.02 0.03 -0.02
-0.03 0.01 0.11
-0.04 0.08 -0.01
-0.08 0.13 0.02
-0.01 0.06 -0.06
-0.04 0.03 -0.08
0.04 -0.06 0.00
0.11 0.02 0.01
0.05 -0.07 -0.04

Multiplicity: 1
Structure (SMILES): COc1ccc(C(=O)CSc2nc3cccnc3n2C)cc1
Highest occupied orbital energy in eV: -8.11
Maximum force in eV/A: 1.11
Charge: 0
DFT total energy in Ha: -1331.65293



The following is a quantum chemistry calculation of a cluster of 2 separate species, C6H12N5 in total at a distorted geometry, from the OMol25 dataset.

Each line ends with the Löwdin charge.
Atoms and positions in Å:
C  -1.262  1.820  -0.496  -0.06
C  -1.043  2.401  -1.736  -0.19
C  -0.519  0.639  -0.713  -0.02
C  0.745  -0.420  -2.525  -0.03
C  1.025  0.140  2.845  -0.01
C  0.200  -0.811  0.816  -0.14
N  -0.260  1.727  -2.521  0.09
N  -0.532  -2.785  -0.350  0.10
N  -0.311  -2.117  0.679  -0.05
N  0.037  0.586  -1.920  -0.22
N  -0.159  -0.153  2.070  0.04
H  -2.023  2.111  0.237  0.10
H  -1.480  3.361  -2.204  0.15
H  0.079  -1.312  -2.571  0.10
H  0.986  -0.012  -3.518  0.12
H  1.571  -0.818  -2.045  0.06
H  1.733  -0.688  2.958  0.12
H  1.744  0.792  2.386  0.11
H  0.782  0.567  3.856  0.13
H  1.201  -0.924  0.615  0.10
H  -0.989  -3.796  -0.231  0.17
H  -0.870  0.557  1.837  0.18
H  -0.655  -0.866  2.529  0.15